Citedness in Scopus

Publik (Jurnal Ilmu Administrasi) is cited by articles on SCOPUS database at least 2 times since published in June 2012

Source : Scopus

Export Date: 16 Mei 2023.

1. Akbar, M. F., Suprapto, S., & Surati, S. (2018). Partisipasi Masyarakat Dalam Perencanaan Pembangunan di Desa Jatimulya Kabupaten Boalemo. Publik (Jurnal Ilmu Administrasi)6(2), 135-142.

Cited by :

Taralani. T ,Sirajuddin (2020, February). Rural development strategies in Indonesia: Managing villages to achieve sustainable development. In IOP Conference Series: Earth and Environmental Science (Volume 447, Issue 1, 3 March 2020, Article number 012066). IOP Publishing.

2. Lamangida, T., Akbar, M. F., & Hasan, H. (2017). Kepemimpinan Kepala Desa Dalam Membangun Desa Bandung Rejo Kecamatan Boliyohuto. Publik (Jurnal Ilmu Administrasi)6(1), 68-78.

Cited By :

Taralani. T ,Sirajuddin (2020, February). Rural development strategies in Indonesia: Managing villages to achieve sustainable development. In IOP Conference Series: Earth and Environmental Science (Volume 447, Issue 1, 3 March 2020, Article number 012066). IOP Publishing.

3. Abdi, A., & Rohmah, I. (2020). Kepemimpinan Tranformasional: Faktor Determinan Kinerja Karyawan Restoran Pada Hotel Marcure Nexa Pettarani Kota Makassar. Publik (Jurnal Ilmu Administrasi), 9(1), 34-45. doi:

Cited By: 

Permana, E., Santoso, R., Murdani, & Purwoko, B. (2022). Building culinary business performance during the covid-19 pandemic: Transformational leadership as a trigger through digital capabilities. Journal of Culinary Science and Technology, doi:10.1080/15428052.2022.2040679

4. Mujizatullah, M. (2018). Evaluasi Kebijakan Sistem Kelas Tuntas Berkelanjutan (SKTB) di SMP Negeri 1 Pallangga. Publik (Jurnal Ilmu Administrasi), 7(1), 22-28. doi:

Cited By:

Warman, Thaba, A., Mahmut, C., & Aziz, A. (2021). Innovation of automatic promotion system to improving the quality of education in gowa regency (A good model for education management in indonesia). Review of International Geographical Education Online, 11(8), 1505-1520. doi:10.48047/rigeo.11.08.130


Cited By: 

Fahlevi, H., Mardaleta, M., Lubis, A. R., & Diantimala, Y. (2022). Determinants of patient behavioural loyalty on primary health centres: Evidence from a cross-sectional study in indonesia. F1000Research, 11 doi:10.12688/f1000research.110684.2

6. Tanjung, H., Agustina, I., & Pradesa, H. (2022). Explaining Compensation Satisfaction Among Public Officers from Equity and Expectancy Perspective. Publik (Jurnal Ilmu Administrasi), 11(1), 28-44. doi:

 Cited By: 

Jaiswal, R., Gupta, S., & Tiwari, A. K. (2023). Dissecting the compensation conundrum: A machine learning-based prognostication of key determinants in a complex labor market. Management Decision, http://dx.doi:10.1108/MD-07-2022-0976

7. Sukmana, A., & Rosdiana, H. (2021). Analysis On the Implementation of Income Tax Article 21 Incentives Policy for Taxpayers Affected by The Covid-19 Pandemic. Publik (Jurnal Ilmu Administrasi)10(2), 319-336.

Inserted here: quantum chemistry results:
~~~
Below is a structure of composition C4H13NO3Tl in a non-equilibrium geometry, with properties calculated with ωB97M-V/def2-TZVPD.

ORCA input file:
```
! wB97M-V def2-TZVPD RIJCOSX def2/J DEFGRID3
* xyz 1 1
H -4.498 22.094 7.928
H -4.421 21.299 5.458
Tl -4.352 24.135 4.568
H -6.511 22.973 7.689
H -7.043 24.984 5.337
C -4.122 22.602 7.041
H -2.132 20.075 5.737
C -2.516 20.773 6.481
C -3.544 21.729 5.941
H -6.891 24.479 6.830
H -2.882 20.133 7.284
H -5.935 22.996 3.611
H -5.714 24.525 8.080
C -6.090 23.890 7.277
H -2.342 21.916 4.296
O -5.017 23.530 6.407
O -5.326 22.330 3.984
H -1.973 22.765 5.630
N -2.735 22.493 5.026
H -3.376 23.270 7.473
H -1.659 21.312 6.885
O -6.200 24.661 4.962
*
```

- Total energy: -612.671889 Eh
- HOMO: -13.804 eV
- LUMO energy: -6.79 eV
- Frontier orbital gap: 7.0 eV

~~~~~

Record 1
2 unconnected molecules or ions with the total composition C38H48BrF8N2O6PS, computed with ωB97M-V/def2-TZVPD.

ORCA input file:
```
! wB97M-V def2-TZVPD RIJCOSX def2/J DEFGRID3
* xyz 0 1
C 9.085 1.232 0.186
C 7.785 0.572 0.647
C 6.705 0.572 -0.466
C 6.409 -0.857 -0.889
O 5.263 -0.975 -1.747
C 4.062 -0.946 -1.055
C 3.386 0.263 -1.039
C 2.176 0.325 -0.370
C 1.667 -0.782 0.299
C 2.345 -2.013 0.276
C 1.749 -3.190 1.005
C 2.668 -3.855 2.043
O 2.702 -5.278 1.920
C 3.547 -2.098 -0.447
C 4.286 -3.409 -0.635
C 4.460 -3.794 -2.134
C 3.266 -3.399 -2.965
C 2.017 -3.967 -2.706
C 0.914 -3.562 -3.446
C 1.053 -2.600 -4.444
C 2.296 -2.053 -4.732
C 3.400 -2.458 -3.987
N 0.422 -0.678 1.017
C 0.529 0.030 2.323
N 1.820 -0.229 2.940
C -0.601 -0.094 0.204
C -1.825 -0.730 0.098
C -2.838 -0.158 -0.663
C -2.654 1.037 -1.355
C -3.792 1.612 -2.176
C -4.534 0.617 -3.057
O -5.333 -0.341 -2.375
C -6.501 0.197 -1.823
C -6.787 -0.409 -0.469
F -8.011 -0.015 -0.076
F -5.906 0.090 0.439
C -6.695 -1.948 -0.402
F -5.462 -2.312 -0.008
F -6.908 -2.477 -1.609
C -7.681 -2.610 0.596
F -7.362 -3.916 0.594
F -8.937 -2.508 0.163
C -7.512 -2.078 2.055
F -8.511 -1.254 2.368
F -7.544 -3.120 2.909
C -1.404 1.687 -1.259
P -0.926 3.283 -2.029
O -1.040 2.990 -3.634
Br -2.695 4.624 -1.532
C -0.391 1.108 -0.484
S 1.228 1.830 -0.338
H 8.908 2.276 -0.052
H 9.460 0.730 -0.706
H 9.850 1.129 0.952
H 7.408 1.122 1.506
H 7.991 -0.449 0.960
H 7.055 1.164 -1.307
H 5.820 1.054 -0.060
H 6.289 -1.461 0.006
H 7.243 -1.211 -1.490
H 3.794 1.122 -1.547
H 1.387 -3.908 0.268
H 0.868 -2.844 1.527
H 2.319 -3.681 3.055
H 3.676 -3.449 1.971
H 2.658 -5.513 0.991
H 3.742 -4.227 -0.186
H 5.252 -3.360 -0.141
H 4.583 -4.875 -2.194
H 5.352 -3.327 -2.530
H 1.919 -4.716 -1.934
H -0.062 -3.978 -3.243
H 0.178 -2.285 -4.996
H 2.417 -1.317 -5.511
H 4.383 -2.052 -4.171
H 0.347 1.101 2.212
H -0.232 -0.398 2.972
H 1.724 -0.205 3.944
H 2.498 0.469 2.665
H -2.001 -1.665 0.605
H -3.774 -0.684 -0.697
H -4.471 2.181 -1.546
H -3.371 2.346 -2.857
H -3.847 0.088 -3.709
H -5.197 1.190 -3.716
H -7.350 -0.016 -2.478
H -6.479 1.277 -1.676
H -6.540 -1.605 2.178
H -1.623 2.241 -3.821
C -1.629 6.875 4.674
O -2.911 6.308 4.470
~~~

Cited By:

Ispriyarso, B., & Wibawa, K. C. S. (2023). Reconstruction of the national economy post-covid-19 pandemic: Critical study of tax reforms in indonesia. Cogent Social Sciences, 9(1) doi:10.1080/23311886.2023.2174517

8. Hanis, N. W., & Marzaman, A. (2020). Peran Pemberdayaan Kesejahteraan Keluarga dalam Pemberdayaan Perempuan di Kecamatan Telaga. Publik (Jurnal Ilmu Administrasi)8(2), 123-135.

Cited By:

Prabawani, B., Handayani, W., Ariyanti, D., & Afifah, D. N. (2022). Indonesian women in a circular economy: Waste management programs. Climate adaptation and resilience: Challenges and potential solutions: Anticipatory governance, planning and dialogue (pp. 269-294) Retrieved from